Can Asthma Cause Lung Scarring? Airway Fibrosis and Asthma

Asthma is a respiratory condition that causes constriction of the airways within the lungs.

People who suffer from asthma will experience attacks, during which they have difficulty breathing, which causes coughing and wheezing.

This condition is partially genetic, but can also be brought about by a number of environmental factors as well. 

Can Asthma Cause Lung Scarring? Airway Fibrosis and Asthma

If you have asthma, you may be concerned about the effect it has on the long-term health of your lungs.

Data records, kept here for reference:
- - -
No. 1
Here is a relaxed structure of CsNiF3 from the Materials Project database. Energies are from r2SCAN.

abc: 6.2009 6.2009 5.1900
angles: 90.00 90.00 120.00
With the nearest neighbours (Å) after each atom.
Space group P6_3/mmc (No. 194)
Symmetry-distinct sites (fractional):
1 Cs 0.3333 0.6667 0.2500  12 F 3.11-3.30
2 Ni 0.0000 0.0000 0.0000  6 F 2.01
3 F 0.1432 0.2864 0.7500  2 Ni 2.01

Results
The electronic total energy is -11.8589 eV per atom. The size of the total moment comes out at 2.00 μB per formula unit. The calculation puts the formation energy at -2.57 eV per atom.


No. 2
Here is a relaxed structure of GaRu from the Materials Project database. Energies are from r2SCAN.

abc: 3.0014 3.0014 3.0014
angles: 90.00 90.00 90.00
With the nearest neighbours (Å) after each atom.
Space group Pm-3m (No. 221)
Symmetry-distinct sites (fractional):
1 Ga 0.0000 0.0000 0.0000  8 Ru 2.60
2 Ru 0.5000 0.5000 0.5000  8 Ga 2.60

Results
The electronic total energy is -18.7658 eV per atom. The size of the total moment comes out at 0.00 μB per formula unit. The calculation puts the formation energy at -0.33 eV per atom.


No. 3
Here is a relaxed structure of Cs3Fe2S4 from the Materials Project database. Energies are from r2SCAN.

abc: 7.6309 11.2529 13.0481
angles: 90.00 90.00 90.00
With the nearest neighbours (Å) after each atom.
Space group Pnma (No. 62)
Symmetry-distinct sites (fractional):
1 Cs 0.0116 0.2500 0.0531  7 S 3.56-3.90, 2 Cs 3.88, 2 Fe 3.94
2 Cs 0.1083 0.0291 0.7876  6 S 3.41-3.81
3 Fe 0.0081 0.6327 0.5068  4 S 2.31-2.36
4 S 0.0456 0.2500 0.3513  2 Fe 2.31
5 S 0.0999 0.7500 0.3718  2 Fe 2.31
6 S 0.2273 0.0117 0.5365  2 Fe 2.32-2.36

Results
The electronic total energy is -16.2174 eV per atom. The size of the total moment comes out at 9.00 μB per formula unit. The calculation puts the formation energy at -1.07 eV per atom.


No. 4
Here is a relaxed structure of KPr3Te8 from the Materials Project database. Energies are from r2SCAN.

abc: 14.2642 13.0415 9.0577
angles: 90.00 99.16 90.00
With the nearest neighbours (Å) after each atom.
Space group P2_1/c (No. 14)
Symmetry-distinct sites (fractional):
1 K 0.0341 0.0922 0.2580  8 Te 3.62-3.79
2 Pr 0.3455 0.7492 0.0868  9 Te 3.26-3.47
3 Pr 0.3496 0.0849 0.0803  8 Te 3.24-3.36
4 Pr 0.3513 0.0839 0.5948  8 Te 3.25-3.37
5 Te 0.1605 0.7229 0.7899  2 Te 2.86
6 Te 0.1676 0.5794 0.0304  1 Te 2.86
7 Te 0.1675 0.5805 0.5524  1 Te 2.86
8 Te 0.1703 0.0970 0.7914  4 Te 3.01-3.31, 2 Pr 3.36-3.37
9 Te 0.1725 0.2493 0.5425  2 Te 3.01-3.03, 2 Pr 3.30-3.32
10 Te 0.4126 0.5800 0.8507  5 Pr 3.28-3.32
11 Te 0.4138 0.5856 0.3558  5 Pr 3.24-3.33
12 Te 0.4181 0.2455 0.3544  5 Pr 3.27-3.33

Results
The electronic total energy is -26.1422 eV per atom. The size of the total moment comes out at 0.00 μB per formula unit. The calculation puts the formation energy at -1.34 eV per atom.


No. 5
Here is a relaxed structure of BaPb from the Materials Project database. Energies are from r2SCAN.

abc: 5.3880 12.7882 4.8947
- - -

In this article we will discuss the damage that can be caused by asthma as well as whether or not it can cause scarring of the lungs (airway fibrosis).

We will then cover a few of the common treatment measures used to prevent this scarring and alleviate the symptoms of asthma

What Is Asthma 

Asthma is a respiratory illness that affects roughly 25 million people in the USA alone. It manifests in ‘attacks’ where the airways within the lungs get narrower.

This leads to a person not being able to inhale or exhale as much air, impeding the efficiency of respiration. 

Asthma attacks normally involve difficulty breathing, as well as wheezing and coughing. They can be brought on by a number of different factors.

Intense, or sudden physical exercise, allergenic particles such as pollen, and certain chemicals can all act as triggers for one of these attacks. 

Common Causes Of Asthma

Asthma can be a genetic condition passed down from parent to child, but it can also be brought about by environmental factors as well.

If you have a sinus infection or other form of respiratory disease while you are a baby, then you will be more likely to develop asthma later on in life. 

Even adults can develop asthma without having had it as a child. This is especially the case if they work in an environment where they are frequently exposed to dust, exhaust fumes or other pollutants.

Asthma has also been linked to specific allergies that are more likely to cause the condition and trigger attacks. 

Can Asthma Attacks Cause Lung Scarring?

Fibrosis is a medical term that refers to the thickening of tissue, usually due to it being scarred.

Airway fibrosis refers specifically to scarring of the epithelial tissue within the lungs and can cause a number of problems. 

Epithelial tissue is made up of a single layer of cells so that certain molecules such as oxygen and carbon dioxide can pass through it with ease.

If this tissue becomes scarred, or thicker, then it will limit the movement of these substances. As such, airway fibrosis can greatly reduce the efficiency of respiration and limit the amount of oxygen that is absorbed into your bloodstream. 

Asthma attacks can cause airway fibrosis if they are not treated or kept in check. The inflammation of your airways that causes an asthma attack in the first place can lead to the epithelial cells becoming damaged.

When they repair themselves, scar tissue forms, which makes the tissue thicker and less effective at its job. 

This is called airway remodeling, and it can have a significant impact on the severity of asthma attacks.

As well as making the attacks worse, airway remodeling can also make them occur more frequently 

While many asthma sufferers will alleviate their symptoms with inhaled corticosteroids, these won’t prevent or treat airway fibrosis.

In fact, severe scarring of the lungs will often reduce the benefits offered by an inhaler. 

Thankfully, there are steps you can take to minimize the damage that asthma causes to your lungs. 

How To Avoid Airway Remodeling 

How To Avoid Airway Remodeling 

Airway remodeling is a common condition in asthma sufferers, but it is avoidable. As well as using an inhaler, those with asthma can also take certain long-term medications to reduce inflammation in their lungs and reduce the severity of attacks. 

These medications need to be taken daily, not just when an attack occurs. However, doing so can greatly reduce the chance of airway remodeling and save people with asthma from a lot of suffering later on in life. 

As well as seeking out and taking long term medication, it is very important to know what triggers your asthma attacks. Knowing what causes your condition to flare up, will go a long way towards keeping it in check. 

Someone pasted crystal structures at this point:
No. 1
! Na11Ti20O40, relaxed, DFT PBE-GGA; values from VASP
! **Spin magnetization**: 6.8 μB per cell
! **Formation enthalpy at 0 K**: -3.0323 eV/atom
&SYSTEM
  ibrav = 0, nat = 71, ntyp = 3
/
ATOMIC_SPECIES
Na 22.99 Na.upf
Ti 47.87 Ti.upf
O 16.00 O.upf
ATOMIC_POSITIONS crystal
Na 0.000 0.000 0.000
Na 0.103 0.103 0.104
Na 0.203 0.203 0.204
Na 0.303 0.303 0.304
Na 0.406 0.406 0.407
Na 0.503 0.503 0.504
Na 0.552 0.552 0.053
Na 0.653 0.653 0.154
Na 0.753 0.753 0.254
Na 0.854 0.854 0.354
Na 0.903 0.903 0.903
Ti 0.028 0.028 0.279
Ti 0.076 0.076 0.828
Ti 0.129 0.129 0.378
Ti 0.172 0.172 0.930
Ti 0.234 0.234 0.478
Ti 0.277 0.277 0.029
Ti 0.330 0.330 0.580
Ti 0.378 0.378 0.129
Ti 0.428 0.428 0.679
Ti 0.478 0.478 0.229
Ti 0.527 0.527 0.778
Ti 0.577 0.577 0.328
Ti 0.633 0.633 0.878
Ti 0.674 0.674 0.429
Ti 0.732 0.732 0.979
Ti 0.772 0.772 0.529
Ti 0.829 0.829 0.079
Ti 0.879 0.879 0.629
Ti 0.928 0.928 0.179
Ti 0.978 0.978 0.728
O 0.028 0.028 0.692
O 0.028 0.028 0.867
O 0.066 0.066 0.415
O 0.095 0.095 0.242
O 0.123 0.123 0.966
O 0.128 0.128 0.793
O 0.168 0.168 0.514
O 0.194 0.194 0.342
O 0.212 0.212 0.066
O 0.238 0.238 0.893
O 0.278 0.278 0.614
O 0.284 0.284 0.441
O 0.311 0.311 0.166
O 0.340 0.340 0.993
O 0.378 0.378 0.541
O 0.378 0.378 0.715
O 0.411 0.411 0.266
O 0.445 0.445 0.092
O 0.478 0.478 0.642
O 0.478 0.478 0.816
O 0.513 0.513 0.366
O 0.544 0.544 0.192
O 0.568 0.568 0.914
O 0.578 0.578 0.743
O 0.625 0.625 0.466
O 0.645 0.645 0.292
O 0.663 0.663 0.016
O 0.679 0.679 0.843
O 0.727 0.727 0.565
O 0.743 0.743 0.392
O 0.761 0.761 0.116
O 0.781 0.781 0.941
O 0.828 0.828 0.665
O 0.838 0.838 0.493
O 0.862 0.862 0.216
O 0.893 0.893 0.042
O 0.928 0.928 0.592
O 0.928 0.928 0.765
O 0.961 0.961 0.316
O 0.995 0.995 0.142
CELL_PARAMETERS angstrom
5.681 -1.507 0.000
5.681 1.507 0.000
-3.294 0.000 51.016

=====

No. 2
! NaTi2O4, relaxed, DFT PBE-GGA; values from VASP
! **Spin magnetization**: 4.0 μB per cell
! **Formation enthalpy at 0 K**: -2.6160 eV/atom
! **Energy above the lowest structure with this stoichiometry**: 0.5237 eV/atom
&SYSTEM
  ibrav = 0, nat = 28, ntyp = 3
/
ATOMIC_SPECIES
Na 22.99 Na.upf
Ti 47.87 Ti.upf
O 16.00 O.upf
ATOMIC_POSITIONS crystal
Na 0.197 0.250 0.060
Na 0.303 0.750 0.560
Na 0.697 0.250 0.440
Na 0.803 0.750 0.940
Ti 0.046 0.750 0.246
Ti 0.193 0.250 0.481
Ti 0.307 0.750 0.981
Ti 0.454 0.250 0.746
Ti 0.546 0.750 0.254
Ti 0.693 0.250 0.019
Ti 0.807 0.750 0.519
Ti 0.954 0.250 0.754
O 0.036 0.750 0.455
O 0.073 0.750 0.040
O 0.186 0.250 0.300
O 0.199 0.250 0.754
O 0.301 0.750 0.254
O 0.314 0.750 0.800
O 0.427 0.250 0.540
O 0.464 0.250 0.955
O 0.536 0.750 0.045
O 0.573 0.750 0.460
O 0.686 0.250 0.200
O 0.699 0.250 0.746
O 0.801 0.750 0.246
O 0.814 0.750 0.700
O 0.927 0.250 0.960
O 0.964 0.250 0.545
CELL_PARAMETERS angstrom
7.671 0.000 0.000
0.000 10.597 0.000
0.000 0.000 9.274

=====

No. 3
! Na2TiO3, relaxed, DFT PBE-GGA; values from VASP
! **Formation enthalpy at 0 K**: -2.7464 eV/atom
&SYSTEM
  ibrav = 0, nat = 24, ntyp = 3
/
ATOMIC_SPECIES

Another thing that can help is using a peak flow meter to measure how fast you can push air out of your lungs.

(These materials data were left in the piece by mistake)
........
(1)
Here is crystalline Ba3Ag2 at its relaxed geometry from the Materials Project. Energies are from meta-GGA r2SCAN.

Cell lengths 8.906, 8.906, 8.906 Å; angles 72.73, 72.73, 72.73 degrees
Atoms (fractional coordinates):
1 Ba 0.000 0.000 0.000
2 Ba 0.165 0.669 0.385
3 Ba 0.206 0.206 0.206
4 Ba 0.331 0.615 0.835
5 Ba 0.385 0.165 0.669
6 Ba 0.615 0.835 0.331
7 Ba 0.669 0.385 0.165
8 Ba 0.794 0.794 0.794
9 Ba 0.835 0.331 0.615
10 Ag 0.036 0.411 0.868
11 Ag 0.132 0.964 0.589
12 Ag 0.411 0.868 0.036
13 Ag 0.589 0.132 0.964
14 Ag 0.868 0.036 0.411
15 Ag 0.964 0.589 0.132

Energy of formation from the pure elements, eV/f.u.: -0.787
Crystal system: trigonal


(2)
Here is crystalline PdSe at its relaxed geometry from the Materials Project. Energies are from meta-GGA r2SCAN.

Cell lengths 11.686, 11.686, 7.061 Å; angles 90.00, 90.00, 90.00 degrees
Atoms (fractional coordinates):
1 Pd 0.045 0.130 0.000
2 Pd 0.113 0.613 0.250
3 Pd 0.113 0.613 0.750
4 Pd 0.130 0.955 0.500
5 Pd 0.142 0.269 0.500
6 Pd 0.231 0.358 0.000
7 Pd 0.269 0.858 0.000
8 Pd 0.358 0.769 0.500
9 Pd 0.370 0.455 0.500
10 Pd 0.387 0.113 0.250
11 Pd 0.387 0.113 0.750
12 Pd 0.455 0.630 0.000
13 Pd 0.545 0.370 0.000
14 Pd 0.613 0.887 0.250
15 Pd 0.613 0.887 0.750
16 Pd 0.630 0.545 0.500
17 Pd 0.642 0.231 0.500
18 Pd 0.731 0.142 0.000
19 Pd 0.769 0.642 0.000
20 Pd 0.858 0.731 0.500
21 Pd 0.870 0.045 0.500
22 Pd 0.887 0.387 0.250
23 Pd 0.887 0.387 0.750
24 Pd 0.955 0.870 0.000
25 Se 0.096 0.404 0.250
26 Se 0.096 0.404 0.750
27 Se 0.110 0.823 0.224
28 Se 0.110 0.823 0.776
29 Se 0.177 0.110 0.276
30 Se 0.177 0.110 0.724
31 Se 0.323 0.610 0.276
32 Se 0.323 0.610 0.724
33 Se 0.390 0.323 0.224
34 Se 0.390 0.323 0.776
35 Se 0.404 0.904 0.250
36 Se 0.404 0.904 0.750
37 Se 0.596 0.096 0.250
38 Se 0.596 0.096 0.750
39 Se 0.610 0.677 0.224
40 Se 0.610 0.677 0.776
41 Se 0.677 0.390 0.276
42 Se 0.677 0.390 0.724
43 Se 0.823 0.890 0.276
44 Se 0.823 0.890 0.724
45 Se 0.890 0.177 0.224
46 Se 0.890 0.177 0.776
47 Se 0.904 0.596 0.250
48 Se 0.904 0.596 0.750

Energy of formation from the pure elements, eV/f.u.: -0.782
Crystal system: tetragonal

=====

# Dy6CoTe2, relaxed, DFT PBE
# volume = 26.11 Å³/atom
# energy of formation from the pure elements = -0.7549 eV/atom
data_Dy6CoTe2
_cell_length_a 8.3509
_cell_length_b 8.3509
_cell_length_c 3.8912
_cell_angle_alpha 90.00
_cell_angle_beta 90.00
_cell_angle_gamma 120.00
_symmetry_space_group_name_H-M 'P -6 2 m'
_symmetry_Int_Tables_number 189
_symmetry_space_group_name_Hall 'P -6 -2'
loop_
_atom_site_label
_atom_site_type_symbol
_atom_site_fract_x
_atom_site_fract_y
_atom_site_fract_z
Dy1 Dy 0.0000 0.2361 0.0000
Dy2 Dy 0.0000 0.5982 0.5000
Co1 Co 0.0000 0.0000 0.5000
Te1 Te 0.3333 0.6667 0.0000
........
(End of the materials data)

This will give an indication of the overall health of your lungs and help you to know when your condition is worsening, even if you aren’t suffering from an attack. 

Attacks Aren’t The Only Sign Of Asthma

It is very important to remember that asthma symptoms are not always present.

Many people with this condition live their lives while only rarely having an actual attack. However, it is important to note that your asthma may still be damaging your lungs, even if you can’t feel it. 

Some people can experience severe inflammation due to asthma without outwardly displaying any of the symptoms commonly connected to an attack.

As such, you need to keep track of how bad your condition is, without just waiting for yourself to feel bad before you seek help. 

Waiting too long could cause significant airway remodeling, even if it has been a long time since your last attack.

The best way to keep track of how healthy your lungs are is by using a peak flow meter.

This will give an indication of your lung’s air capacity, so you will know when your condition is acting up, even if you aren’t having an attack. 


The damage caused by airway fibrosis is permanent, however it is also thankfully preventable.

Taking steps now to control your asthma and prevent airway remodeling will help you to live a longer, happier life without your disease getting in the way. 

If you are worried about airway fibrosis as an asthma sufferer, then consult your doctor and see what you can do right now to prevent it.

After all, the sooner you take steps to manage your condition, the sooner you can get back to living your life without having to constantly worry about it.

Joshua Damie